Exercise >
Search the entries further below for the word "gap_ev" and repeat each line that has it.
Input >
<<<
1.
{"formula": "C48H40Cl2F3N5P2S2V", "method": "wB97M-V/def2-TZVPD", "gap_ev": [6.03, 6.40], "energy_ha": -5770.0112, "charge": 0, "fmax_ev_per_a": 1.11, "multiplicity": 4, "e_lumo_ev": [-0.6, -0.8], "elements": ["V", "C", "C", "N", "N", "C", "N", "S", "C", "C", "C", "C", "C", "N", "H", "H", "H", "H", "H", "H", "H", "H", "H", "H", "Cl", "C", "C", "C", "C", "C", "Cl", "C", "S", "H", "H", "H", "C", "N", "P", "C", "C", "C", "C", "C", "C", "C", "C", "C", "C", "C", "C", "P", "C", "C", "C", "C", "C", "C", "C", "C", "C", "C", "C", "C", "H", "H", "H", "H", "H", "H", "H", "H", "H", "H", "H", "H", "H", "H", "H", "H", "H", "H", "H", "H", "H", "H", "H", "F", "C", "F", "F", "C", "C", "C", "C", "C", "C", "C", "C", "H", "H", "H", "H"], "xyz": [[-1.16, -0.95, 0.90], [-3.36, -4.63, 0.48], [-2.36, -3.62, 0.91], [-1.99, -2.66, 0.16], [-2.54, -2.65, -1.12], [-1.71, -2.41, -2.18], [-2.36, -2.03, -3.30], [-0.08, -2.69, -2.17], [-1.67, -3.66, 2.22], [-1.97, -4.61, 3.18], [-1.23, -4.65, 4.35], [-0.18, -3.77, 4.49], [0.05, -2.84, 3.48], [-0.70, -2.75, 2.38], [-3.15, -4.95, -0.54], [-4.37, -4.20, 0.50], [-3.37, -5.51, 1.13], [-3.48, -2.27, -1.16], [-3.25, -1.55, -3.22], [-1.77, -1.76, -4.07], [-2.79, -5.29, 3.04], [-1.46, -5.37, 5.12], [0.46, -3.78, 5.36], [0.87, -2.15, 3.57], [-0.89, 1.64, 1.74], [-1.63, 1.64, 3.32], [-1.28, 2.67, 4.18], [-1.84, 2.72, 5.44], [-2.74, 1.73, 5.82], [-3.06, 0.71, 4.95], [-4.19, -0.50, 5.50], [-2.52, 0.61, 3.65], [-2.95, -0.69, 2.57], [-0.57, 3.42, 3.85], [-1.59, 3.51, 6.13], [-3.20, 1.74, 6.80], [3.14, -0.94, -1.60], [2.29, -0.19, -0.67], [1.57, -0.89, 0.71], [2.37, -2.53, 0.88], [1.64, -3.66, 0.50], [2.19, -4.93, 0.65], [3.46, -5.09, 1.18], [4.19, -3.98, 1.56], [3.65, -2.71, 1.41], [2.33, 0.07, 2.08], [1.59, 0.34, 3.24], [2.14, 1.08, 4.27], [3.43, 1.58, 4.16], [4.17, 1.34, 3.01], [3.62, 0.59, 1.98], [1.44, 1.24, -1.12], [1.21, 1.08, -2.94], [2.21, 1.30, -3.88], [1.94, 1.22, -5.24], [0.65, 0.94, -5.67], [-0.36, 0.74, -4.74], [-0.08, 0.80, -3.38], [2.72, 2.55, -1.04], [4.10, 2.33, -0.95], [4.98, 3.40, -0.88], [4.50, 4.70, -0.92], [3.13, 4.93, -1.01], [2.25, 3.86, -1.06], [3.59, -1.79, -1.10], [3.94, -0.32, -1.99], [2.56, -1.30, -2.45], [0.65, -3.54, 0.08], [1.61, -5.80, 0.35], [3.88, -6.08, 1.30], [5.18, -4.09, 1.98], [4.22, -1.85, 1.74], [0.57, 0.01, 3.32], [1.55, 1.30, 5.15], [3.86, 2.17, 4.96], [5.17, 1.74, 2.91], [4.18, 0.42, 1.07], [3.21, 1.55, -3.55], [2.73, 1.39, -5.96], [0.43, 0.90, -6.73], [-1.38, 0.55, -5.08], [-0.87, 0.63, -2.65], [4.49, 1.32, -0.93], [6.04, 3.22, -0.81], [5.19, 5.54, -0.86], [2.75, 5.94, -1.03], [1.19, 4.04, -1.12], [-6.26, 4.11, -5.66], [-5.07, 4.51, -5.17], [-5.26, 5.73, -4.63], [-4.26, 4.69, -6.23], [-4.51, 3.54, -4.18], [-3.43, 3.93, -3.39], [-2.87, 3.04, -2.50], [-3.37, 1.73, -2.37], [-4.46, 1.36, -3.17], [-5.02, 2.26, -4.07], [-2.74, 0.82, -1.47], [-2.11, 0.17, -0.64], [-3.04, 4.93, -3.48], [-2.04, 3.33, -1.88], [-4.88, 0.37, -3.07], [-5.87, 1.96, -4.68]], "mulliken_spin": [2.75, 0.01, -0.01, -0.19, 0.04, 0.02, 0.00, 0.01, 0.14, 0.01, 0.00, 0.03, 0.02, 0.07, 0.00, 0.01, 0.00, 0.00, 0.00, 0.00, 0.00, 0.00, 0.00, 0.00, 0.01, 0.02, 0.00, 0.01, 0.00, 0.00, 0.00, 0.00, -0.03, 0.00, 0.00, 0.00, 0.00, 0.00, 0.03, -0.01, 0.02, 0.00, 0.00, 0.00, 0.00, -0.12, 0.08, -0.01, 0.00, 0.00, 0.00, 0.06, 0.00, 0.00, 0.00, 0.00, 0.00, -0.02, 0.01, 0.00, 0.00, 0.00, 0.00, 0.00, 0.00, 0.00, 0.00, 0.00, 0.00, 0.00, 0.00, 0.00, 0.08, 0.00, 0.00, 0.00, 0.00, 0.00, 0.00, 0.00, 0.00, 0.01, 0.00, 0.00, 0.00, 0.00, 0.00, 0.00, 0.00, 0.00, 0.00, 0.01, 0.00, 0.01, -0.02, 0.02, 0.00, 0.04, -0.08, 0.00, 0.00, 0.00, 0.00]}

---

2.
>>>
Done >
{"formula": "C48H40Cl2F3N5P2S2V", "method": "wB97M-V/def2-TZVPD", "gap_ev": [6.03, 6.40], "energy_ha": -5770.0112, "charge": 0, "fmax_ev_per_a": 1.11, "multiplicity": 4, "e_lumo_ev": [-0.6, -0.8], "elements": ["V", "C", "C", "N", "N", "C", "N", "S", "C", "C", "C", "C", "C", "N", "H", "H", "H", "H", "H", "H", "H", "H", "H", "H", "Cl", "C", "C", "C", "C", "C", "Cl", "C", "S", "H", "H", "H", "C", "N", "P", "C", "C", "C", "C", "C", "C", "C", "C", "C", "C", "C", "C", "P", "C", "C", "C", "C", "C", "C", "C", "C", "C", "C", "C", "C", "H", "H", "H", "H", "H", "H", "H", "H", "H", "H", "H", "H", "H", "H", "H", "H", "H", "H", "H", "H", "H", "H", "H", "F", "C", "F", "F", "C", "C", "C", "C", "C", "C", "C", "C", "H", "H", "H", "H"], "xyz": [[-1.16, -0.95, 0.90], [-3.36, -4.63, 0.48], [-2.36, -3.62, 0.91], [-1.99, -2.66, 0.16], [-2.54, -2.65, -1.12], [-1.71, -2.41, -2.18], [-2.36, -2.03, -3.30], [-0.08, -2.69, -2.17], [-1.67, -3.66, 2.22], [-1.97, -4.61, 3.18], [-1.23, -4.65, 4.35], [-0.18, -3.77, 4.49], [0.05, -2.84, 3.48], [-0.70, -2.75, 2.38], [-3.15, -4.95, -0.54], [-4.37, -4.20, 0.50], [-3.37, -5.51, 1.13], [-3.48, -2.27, -1.16], [-3.25, -1.55, -3.22], [-1.77, -1.76, -4.07], [-2.79, -5.29, 3.04], [-1.46, -5.37, 5.12], [0.46, -3.78, 5.36], [0.87, -2.15, 3.57], [-0.89, 1.64, 1.74], [-1.63, 1.64, 3.32], [-1.28, 2.67, 4.18], [-1.84, 2.72, 5.44], [-2.74, 1.73, 5.82], [-3.06, 0.71, 4.95], [-4.19, -0.50, 5.50], [-2.52, 0.61, 3.65], [-2.95, -0.69, 2.57], [-0.57, 3.42, 3.85], [-1.59, 3.51, 6.13], [-3.20, 1.74, 6.80], [3.14, -0.94, -1.60], [2.29, -0.19, -0.67], [1.57, -0.89, 0.71], [2.37, -2.53, 0.88], [1.64, -3.66, 0.50], [2.19, -4.93, 0.65], [3.46, -5.09, 1.18], [4.19, -3.98, 1.56], [3.65, -2.71, 1.41], [2.33, 0.07, 2.08], [1.59, 0.34, 3.24], [2.14, 1.08, 4.27], [3.43, 1.58, 4.16], [4.17, 1.34, 3.01], [3.62, 0.59, 1.98], [1.44, 1.24, -1.12], [1.21, 1.08, -2.94], [2.21, 1.30, -3.88], [1.94, 1.22, -5.24], [0.65, 0.94, -5.67], [-0.36, 0.74, -4.74], [-0.08, 0.80, -3.38], [2.72, 2.55, -1.04], [4.10, 2.33, -0.95], [4.98, 3.40, -0.88], [4.50, 4.70, -0.92], [3.13, 4.93, -1.01], [2.25, 3.86, -1.06], [3.59, -1.79, -1.10], [3.94, -0.32, -1.99], [2.56, -1.30, -2.45], [0.65, -3.54, 0.08], [1.61, -5.80, 0.35], [3.88, -6.08, 1.30], [5.18, -4.09, 1.98], [4.22, -1.85, 1.74], [0.57, 0.01, 3.32], [1.55, 1.30, 5.15], [3.86, 2.17, 4.96], [5.17, 1.74, 2.91], [4.18, 0.42, 1.07], [3.21, 1.55, -3.55], [2.73, 1.39, -5.96], [0.43, 0.90, -6.73], [-1.38, 0.55, -5.08], [-0.87, 0.63, -2.65], [4.49, 1.32, -0.93], [6.04, 3.22, -0.81], [5.19, 5.54, -0.86], [2.75, 5.94, -1.03], [1.19, 4.04, -1.12], [-6.26, 4.11, -5.66], [-5.07, 4.51, -5.17], [-5.26, 5.73, -4.63], [-4.26, 4.69, -6.23], [-4.51, 3.54, -4.18], [-3.43, 3.93, -3.39], [-2.87, 3.04, -2.50], [-3.37, 1.73, -2.37], [-4.46, 1.36, -3.17], [-5.02, 2.26, -4.07], [-2.74, 0.82, -1.47], [-2.11, 0.17, -0.64], [-3.04, 4.93, -3.48], [-2.04, 3.33, -1.88], [-4.88, 0.37, -3.07], [-5.87, 1.96, -4.68]], "mulliken_spin": [2.75, 0.01, -0.01, -0.19, 0.04, 0.02, 0.00, 0.01, 0.14, 0.01, 0.00, 0.03, 0.02, 0.07, 0.00, 0.01, 0.00, 0.00, 0.00, 0.00, 0.00, 0.00, 0.00, 0.00, 0.01, 0.02, 0.00, 0.01, 0.00, 0.00, 0.00, 0.00, -0.03, 0.00, 0.00, 0.00, 0.00, 0.00, 0.03, -0.01, 0.02, 0.00, 0.00, 0.00, 0.00, -0.12, 0.08, -0.01, 0.00, 0.00, 0.00, 0.06, 0.00, 0.00, 0.00, 0.00, 0.00, -0.02, 0.01, 0.00, 0.00, 0.00, 0.00, 0.00, 0.00, 0.00, 0.00, 0.00, 0.00, 0.00, 0.00, 0.00, 0.08, 0.00, 0.00, 0.00, 0.00, 0.00, 0.00, 0.00, 0.00, 0.01, 0.00, 0.00, 0.00, 0.00, 0.00, 0.00, 0.00, 0.00, 0.00, 0.01, 0.00, 0.01, -0.02, 0.02, 0.00, 0.04, -0.08, 0.00, 0.00, 0.00, 0.00]}